Please print everything further below verbatim.
........
[1]
Tc4Ru (PBE-GGA, optimized geometry); DOS at the Fermi energy = 6.663 states/eV/cell; formation enthalpy at 0 K = 1958.8 meV per atom; M_tot = 0.407 μB/atom; space-group type = Pm-3m (221)
1.0
4.5804 0.0000 0.0000
0.0000 4.5804 0.0000
0.0000 0.0000 4.5804
Tc Ru
4 1
Direct
0.0000 0.0000 0.0000
0.0000 0.5000 0.5000
0.5000 0.0000 0.5000
0.5000 0.5000 0.0000
0.5000 0.5000 0.5000

[2]
TcRu2 (PBE-GGA, optimized geometry); DOS at the Fermi energy = 8.144 states/eV/cell; formation enthalpy at 0 K = 76.6 meV per atom; M_tot = 0.000 μB/atom; space-group type = Cmcm (63)
1.0
1.9187 -5.7270 0.0000
1.9187 5.7270 0.0000
0.0000 0.0000 3.8668
Tc Ru
2 4
Direct
0.0837 0.9163 0.7500
0.9163 0.0837 0.2500
0.2504 0.7496 0.2500
0.4168 0.5832 0.7500
0.5832 0.4168 0.2500
0.7496 0.2504 0.7500

[3]
TcRu3 (PBE-GGA, optimized geometry); DOS at the Fermi energy = 11.356 states/eV/cell; formation enthalpy at 0 K = 322.1 meV per atom; M_tot = 0.003 μB/atom; space-group type = Pm-3n (223)
1.0
4.8753 0.0000 0.0000
0.0000 4.8753 0.0000
0.0000 0.0000 4.8753
Tc Ru
2 6
Direct
0.0000 0.0000 0.0000
0.5000 0.5000 0.5000
0.0000 0.2500 0.5000
0.0000 0.7500 0.5000
0.2500 0.5000 0.0000
0.5000 0.0000 0.2500
0.5000 0.0000 0.7500
0.7500 0.5000 0.0000

[4]
Tc3Ru2 (PBE-GGA, optimized geometry); DOS at the Fermi energy = 5.918 states/eV/cell; formation enthalpy at 0 K = 613.5 meV per atom; M_tot = 0.000 μB/atom; space-group type = P-3m1 (164)
1.0
4.1517 0.0000 0.0000
-2.0759 3.5955 0.0000
0.0000 0.0000 5.4024
Tc Ru
3 2
Direct
0.0000 0.0000 0.0000
0.3333 0.6667 0.3925
0.6667 0.3333 0.6075
0.3333 0.6667 0.8571
0.6667 0.3333 0.1429

[5]
TcTeRu (PBE-GGA, optimized geometry); DOS at the Fermi energy = 4.288 states/eV/cell; M_tot = 0.000 μB/atom; space-group type = F-43m (216); formation energy (no corrections) = 0.97 eV per formula unit
1.0
0.0000 3.0601 3.0601
3.0601 0.0000 3.0601
3.0601 3.0601 0.0000
Tc Te Ru
1 1 1
Direct
0.0000 0.0000 0.0000
0.2500 0.2500 0.2500
0.7500 0.7500 0.7500

[6]
TcTe2Ru2 (PBE-GGA, optimized geometry); DOS at the Fermi energy = 5.795 states/eV/cell; M_tot = 0.000 μB/atom; space-group type = I4/mmm (139); formation energy (no corrections) = 3.53 eV per formula unit
1.0
-1.7220 1.7220 8.1915
1.7220 -1.7220 8.1915
1.7220 1.7220 -8.1915
Tc Te Ru
1 2 2
Direct
0.0000 0.0000 0.0000
0.3997 0.3997 0.0000
0.6003 0.6003 0.0000
0.2500 0.7500 0.5000
0.7500 0.2500 0.5000

=====

An optimized crystal structure of ErBiW2O9, computed with PBE+U.

Summary:
**ρ**: 8.03 Mg/m³
**Energy**: -7.4000 eV per atom
**Volume**: 183.7 Å³/f.u.

The structure in extended XYZ format:
```
26
Lattice="-3.103 -2.350 0.076 2.708 -3.688 -3.485 6.207 -7.772 13.047" Properties=species:S:1:pos:R:3 pbc="T T T"
O 0.718 -4.165 0.219
O 2.109 -2.715 2.128
O 3.456 -4.551 0.393
O 3.876 -5.002 3.558
O 3.057 -7.095 5.138
Er 3.929 -8.186 6.970
O 2.134 -5.789 7.785
W 3.636 -4.552 7.642
Bi 7.240 -9.214 10.629
O 2.351 -3.161 -1.764
O 5.292 -6.626 11.123
O 3.901 -8.076 9.215
Er 2.080 -2.605 4.373
O 1.267 -4.770 3.955
W 2.374 -6.239 3.700
O 4.742 -6.022 7.388
O 1.102 -1.460 -0.156
W 3.654 -7.693 10.980
O 6.367 -11.318 9.622
O 5.927 -7.636 5.863
Bi -1.230 -1.577 0.713
O 2.790 -6.844 1.995
W 2.355 -3.098 0.362
O 4.908 -9.331 11.499
O 5.261 -9.929 7.464
O 2.952 -3.696 6.205
```

=====

No. 1
Below is a relaxed ScCuHg2O crystal, with properties calculated at the PBE level.

Cell lengths 4.798, 4.950, 4.798 Å; angles 90.00, 90.00, 90.00 degrees
Atoms (fractional coordinates):
Sc 0.000 0.500 0.000
O 0.500 0.500 0.500
Hg 0.000 0.000 0.500
Hg 0.500 0.000 0.000
Cu 0.000 0.000 0.000

- E (eV/atom) = -2.864
- D(E_F) (states/eV/cell) = 2.82
- SG = P4/mmm, No. 123

---

No. 2
Below is a relaxed SrCu2HgO crystal, with properties calculated at the PBE level.

Cell lengths 5.694, 6.577, 5.694 Å; angles 90.00, 90.00, 90.00 degrees
Site moments in Bohr magnetons follow the coordinates.
Atoms (fractional coordinates):
O 0.500 0.500 0.500  0.18
Sr 0.000 0.000 0.000  0.02
Hg 0.000 0.500 0.000  0.00
Cu 0.000 0.000 0.500  0.07
........
[1]
Tc4Ru (PBE-GGA, optimized geometry); DOS at the Fermi energy = 6.663 states/eV/cell; formation enthalpy at 0 K = 1958.8 meV per atom; M_tot = 0.407 μB/atom; space-group type = Pm-3m (221)
1.0
4.5804 0.0000 0.0000
0.0000 4.5804 0.0000
0.0000 0.0000 4.5804
Tc Ru
4 1
Direct
0.0000 0.0000 0.0000
0.0000 0.5000 0.5000
0.5000 0.0000 0.5000
0.5000 0.5000 0.0000
0.5000 0.5000 0.5000

[2]
TcRu2 (PBE-GGA, optimized geometry); DOS at the Fermi energy = 8.144 states/eV/cell; formation enthalpy at 0 K = 76.6 meV per atom; M_tot = 0.000 μB/atom; space-group type = Cmcm (63)
1.0
1.9187 -5.7270 0.0000
1.9187 5.7270 0.0000
0.0000 0.0000 3.8668
Tc Ru
2 4
Direct
0.0837 0.9163 0.7500
0.9163 0.0837 0.2500
0.2504 0.7496 0.2500
0.4168 0.5832 0.7500
0.5832 0.4168 0.2500
0.7496 0.2504 0.7500

[3]
TcRu3 (PBE-GGA, optimized geometry); DOS at the Fermi energy = 11.356 states/eV/cell; formation enthalpy at 0 K = 322.1 meV per atom; M_tot = 0.003 μB/atom; space-group type = Pm-3n (223)
1.0
4.8753 0.0000 0.0000
0.0000 4.8753 0.0000
0.0000 0.0000 4.8753
Tc Ru
2 6
Direct
0.0000 0.0000 0.0000
0.5000 0.5000 0.5000
0.0000 0.2500 0.5000
0.0000 0.7500 0.5000
0.2500 0.5000 0.0000
0.5000 0.0000 0.2500
0.5000 0.0000 0.7500
0.7500 0.5000 0.0000

[4]
Tc3Ru2 (PBE-GGA, optimized geometry); DOS at the Fermi energy = 5.918 states/eV/cell; formation enthalpy at 0 K = 613.5 meV per atom; M_tot = 0.000 μB/atom; space-group type = P-3m1 (164)
1.0
4.1517 0.0000 0.0000
-2.0759 3.5955 0.0000
0.0000 0.0000 5.4024
Tc Ru
3 2
Direct
0.0000 0.0000 0.0000
0.3333 0.6667 0.3925
0.6667 0.3333 0.6075
0.3333 0.6667 0.8571
0.6667 0.3333 0.1429

[5]
TcTeRu (PBE-GGA, optimized geometry); DOS at the Fermi energy = 4.288 states/eV/cell; M_tot = 0.000 μB/atom; space-group type = F-43m (216); formation energy (no corrections) = 0.97 eV per formula unit
1.0
0.0000 3.0601 3.0601
3.0601 0.0000 3.0601
3.0601 3.0601 0.0000
Tc Te Ru
1 1 1
Direct
0.0000 0.0000 0.0000
0.2500 0.2500 0.2500
0.7500 0.7500 0.7500

[6]
TcTe2Ru2 (PBE-GGA, optimized geometry); DOS at the Fermi energy = 5.795 states/eV/cell; M_tot = 0.000 μB/atom; space-group type = I4/mmm (139); formation energy (no corrections) = 3.53 eV per formula unit
1.0
-1.7220 1.7220 8.1915
1.7220 -1.7220 8.1915
1.7220 1.7220 -8.1915
Tc Te Ru
1 2 2
Direct
0.0000 0.0000 0.0000
0.3997 0.3997 0.0000
0.6003 0.6003 0.0000
0.2500 0.7500 0.5000
0.7500 0.2500 0.5000

=====

An optimized crystal structure of ErBiW2O9, computed with PBE+U.

Summary:
**ρ**: 8.03 Mg/m³
**Energy**: -7.4000 eV per atom
**Volume**: 183.7 Å³/f.u.

The structure in extended XYZ format:
```
26
Lattice="-3.103 -2.350 0.076 2.708 -3.688 -3.485 6.207 -7.772 13.047" Properties=species:S:1:pos:R:3 pbc="T T T"
O 0.718 -4.165 0.219
O 2.109 -2.715 2.128
O 3.456 -4.551 0.393
O 3.876 -5.002 3.558
O 3.057 -7.095 5.138
Er 3.929 -8.186 6.970
O 2.134 -5.789 7.785
W 3.636 -4.552 7.642
Bi 7.240 -9.214 10.629
O 2.351 -3.161 -1.764
O 5.292 -6.626 11.123
O 3.901 -8.076 9.215
Er 2.080 -2.605 4.373
O 1.267 -4.770 3.955
W 2.374 -6.239 3.700
O 4.742 -6.022 7.388
O 1.102 -1.460 -0.156
W 3.654 -7.693 10.980
O 6.367 -11.318 9.622
O 5.927 -7.636 5.863
Bi -1.230 -1.577 0.713
O 2.790 -6.844 1.995
W 2.355 -3.098 0.362
O 4.908 -9.331 11.499
O 5.261 -9.929 7.464
O 2.952 -3.696 6.205
```

=====

No. 1
Below is a relaxed ScCuHg2O crystal, with properties calculated at the PBE level.

Cell lengths 4.798, 4.950, 4.798 Å; angles 90.00, 90.00, 90.00 degrees
Atoms (fractional coordinates):
Sc 0.000 0.500 0.000
O 0.500 0.500 0.500
Hg 0.000 0.000 0.500
Hg 0.500 0.000 0.000
Cu 0.000 0.000 0.000

- E (eV/atom) = -2.864
- D(E_F) (states/eV/cell) = 2.82
- SG = P4/mmm, No. 123

---

No. 2
Below is a relaxed SrCu2HgO crystal, with properties calculated at the PBE level.

Cell lengths 5.694, 6.577, 5.694 Å; angles 90.00, 90.00, 90.00 degrees
Site moments in Bohr magnetons follow the coordinates.
Atoms (fractional coordinates):
O 0.500 0.500 0.500  0.18
Sr 0.000 0.000 0.000  0.02
Hg 0.000 0.500 0.000  0.00
Cu 0.000 0.000 0.500  0.07